When I got an email asking me to read and review Bromleigh McCleneghan’s Good Christian Sex, I was skeptical. As long-time readers of this blog know, I have read a lot of Christian books about sex.
I have not, however, read a lot of good Christian books about sex.
Even books herald as alternatives to Joshua Harris and the like–books described as “not like that“–I have found lacking. Progressive evangelicals in the blogging world are often quick to say that they do not believe in purity culture, but come to many of the same conclusion: Sex can only be holy in the context of a monogamous marriage.
I was expecting Good Christian Sex to be more of the same.
It was fun to read this book and find that I was very wrong.
In addition to my experience in the Progressive Christian blogging world, I’ve also encountered various sexual ethics in liberal mainline churches, and in seminary readings. As McCleneghan points out in her book, many mainline churches take a “none of my business” approach. What happens in others’ bedrooms stays in their bedrooms. In a liberal seminary, one might encounter queer or feminist theology that affirms all sorts of sexual expression . . . in a book that costs $150 and assumes all of its readers are PhD students.
• The page is interrupted by calculated crystals:
/*
For CeAgPO, the PBE geometry in Alexandria gives the simulated powder diffraction line list in this record (CuKα).

```
CeAgPO
1.0
3.9743 0.0000 0.0000
0.0000 3.9743 0.0000
0.0000 0.0000 8.6474
Ce Ag P O
2 2 2 2
Cartesian
0.9936 0.9936 1.2525 Ce
2.9808 2.9808 7.3949 Ce
0.9936 2.9808 4.3237 Ag
2.9808 0.9936 4.3237 Ag
0.9936 0.9936 6.0490 P
2.9808 2.9808 2.5984 P
0.9936 2.9808 0.0000 O
2.9808 0.9936 0.0000 O
```

Top 6 peaks for 2θ = 5–70°, by intensity:
- d 2.926, rel. 100
- d 2.673, rel. 98
- d 2.356, rel. 82
- d 1.987, rel. 61
- d 1.714, rel. 49
- d 3.611, rel. 46



For Na2Hg3, the PBE geometry in Alexandria gives the simulated powder diffraction line list in this record (CuKα).

```
Na2Hg3
1.0
-5.3046 5.3046 5.3046
5.3046 -5.3046 5.3046
5.3046 5.3046 -5.3046
Na Hg
8 12
Cartesian
4.9133 0.3913 -0.3913 Na
7.5657 -2.2610 2.2610 Na
0.3913 0.3913 0.3913 Na
0.3913 -0.3913 4.9133 Na
-0.3913 4.9133 0.3913 Na
2.2610 7.5657 -2.2610 Na
3.0436 3.0436 3.0436 Na
-2.2610 2.2610 7.5657 Na
5.3046 2.6523 -2.4837 Hg
2.6523 2.4837 0.0000 Hg
2.4837 0.0000 2.6523 Hg
5.4732 0.0000 2.6523 Hg
2.6523 -2.4837 5.3046 Hg
0.0000 2.6523 2.4837 Hg
2.6523 5.4732 0.0000 Hg
5.3046 2.6523 5.1360 Hg
-2.4837 5.3046 2.6523 Hg
5.1360 5.3046 2.6523 Hg
0.0000 2.6523 5.4732 Hg
2.6523 5.1360 5.3046 Hg
```

Top 6 peaks for 2θ = 5–70°, by intensity:
- d 2.835, rel. 100
- d 4.331, rel. 84
- d 2.652, rel. 76
- d 1.875, rel. 51
- d 2.262, rel. 39
- d 1.444, rel. 27



For Fe2ReSe, the PBE geometry in Alexandria gives the simulated powder diffraction line list in this record (CuKα).

```
Fe2ReSe
1.0
2.8404 0.0000 0.0000
0.0000 3.4712 0.0000
0.0000 0.0000 5.3060
Fe Re Se
2 1 1
Cartesian
0.0000 0.0000 1.2612 Fe
0.0000 0.0000 4.0448 Fe
1.4202 1.7356 0.0000 Re
1.4202 1.7356 2.6530 Se
```

Top 6 peaks for 2θ = 5–70°, by intensity:
- d 2.198, rel. 100
- d 2.108, rel. 87
- d 1.939, rel. 67
- d 5.306, rel. 40
- d 3.471, rel. 24
- d 1.736, rel. 24



For Zn2In3Hg4, the PBE geometry in Alexandria gives the simulated powder diffraction line list in this record (CuKα).

```
Zn2In3Hg4
1.0
4.2777 -9.3999 0.0000
4.2777 9.3999 0.0000
-4.2462 0.0000 5.5072
Zn In Hg
4 6 8
Cartesian
1.4335 7.4953 2.8557 Zn
0.7527 7.4953 5.4050 Zn
3.5566 -7.4953 0.1022 Zn
2.8758 -7.4953 2.6514 Zn
2.1669 2.6076 0.1292 In
1.0931 2.3156 4.1304 In
0.0438 -2.6076 2.8828 In
4.2654 2.6076 2.6244 In
3.2162 -2.3156 1.3768 In
2.1423 -2.6076 5.3780 In
1.6525 4.7677 2.3884 Hg
0.9010 0.2143 1.7797 Hg
-1.2221 -0.2143 4.5333 Hg
4.7798 4.7677 0.3652 Hg
-0.4706 -4.7677 5.1420 Hg
5.5313 0.2143 0.9739 Hg
3.4082 -0.2143 3.7274 Hg
2.6567 -4.7677 3.1188 Hg
```

Top 6 peaks for 2θ = 5–70°, by intensity:
- d 2.737, rel. 100
- d 2.512, rel. 37
- d 2.970, rel. 36
- d 2.350, rel. 26
- d 3.187, rel. 24
- d 2.300, rel. 21



For Ag3PbF9, the PBE geometry in Alexandria gives the simulated powder diffraction line list in this record (CuKα).

```
Ag3PbF9
1.0
8.5646 -2.7466 0.0000
8.5646 2.7466 0.0000
-6.8082 0.0000 9.7051
Ag Pb F
6 2 18
Cartesian
*/
There are a variety of Christian opinions about sex. But we either aren’t talking about it, or we aren’t talking about it in a way that’s accessible to most people. So many assume that there is one “right” way, assume that sex outside of marriage is always ultimately sinful and harmful (even if it’s not the damaging, devastating event “purity culture” makes it out to be).
Good Christian Sex breaks down so many of these walls.
Rather than simply being an apologist, McCleneghan is a theologian. Not only does she challenge abstinence-only assumptions, but she ties them deeply to her faith using theology from Augustine to John Wesley to Dale Martin (author of Sex and the Single Savior). She interprets complex theological ideas in ways that are accessible and fresh. I even found myself finally understanding some of the confusing material I’ve read in seminary as I read this little book about sex (which helped me justify the fact that I put off a lot of seminary homework to read this!) .
She draws theology away from the ivory tower of academia, and weaves it into our everyday sexual lives, arguing that everything from marriage, to self-stimulation, to high school make-out sessions, to one-night stands has the potential to holy and filled with grace.
[Between two parts of the piece: materials data]
____________
# 1
Structure and simulated X-ray diffraction stick pattern of Pm8Dy3Y (a cell relaxed with PBE; copper Kα).

Peak list (10 most intense, 2θ from 5° to 70°, sorted by position)
28.11 deg, I = 237; 30.74 deg, I = 249; 32.13 deg, I = 1000; 42.14 deg, I = 159; 49.73 deg, I = 131; 49.80 deg, I = 65; 55.55 deg, I = 176; 59.60 deg, I = 152; 59.70 deg, I = 75; 60.43 deg, I = 106

Atomic structure:
```
data_Pm8Dy3Y
_cell_length_a 6.353
_cell_length_b 8.598
_cell_length_c 8.611
_cell_angle_alpha 85.06
_cell_angle_beta 68.38
_cell_angle_gamma 68.43
_symmetry_space_group_name_H-M 'P 1'
_symmetry_Int_Tables_number 1
loop_
_symmetry_equiv_pos_as_xyz
'x,y,z'
loop_
_atom_site_label
_atom_site_fract_x
_atom_site_fract_y
_atom_site_fract_z
Pm1 0.000 0.000 0.000
Pm2 0.000 0.499 0.499
Pm3 0.330 0.169 0.169
Pm4 0.331 0.668 0.669
Pm5 0.334 0.249 0.748
Pm6 0.335 0.748 0.249
Pm7 0.666 0.415 0.917
Pm8 0.666 0.916 0.417
Dy1 0.669 0.334 0.334
Dy2 0.998 0.082 0.583
Dy3 0.998 0.582 0.083
Y1 0.669 0.834 0.834
```

***

# 2
Structure and simulated X-ray diffraction stick pattern of PmDy5Y (a cell relaxed with PBE; copper Kα).

Peak list (10 most intense, 2θ from 5° to 70°, sorted by position)
15.46 deg, I = 265; 26.37 deg, I = 218; 30.39 deg, I = 688; 30.69 deg, I = 1000; 30.84 deg, I = 318; 31.02 deg, I = 722; 31.23 deg, I = 989; 33.44 deg, I = 456; 35.51 deg, I = 418; 46.54 deg, I = 302

Atomic structure:
```
data_PmDy5Y
_cell_length_a 11.718
_cell_length_b 6.756
_cell_length_c 12.205
_cell_angle_alpha 90.00
_cell_angle_beta 110.16
_cell_angle_gamma 90.00
_symmetry_space_group_name_H-M 'C 1 2/c 1'
_symmetry_Int_Tables_number 15
loop_
_symmetry_equiv_pos_as_xyz
'x,y,z'
'-x,-y,-z'
'-x,y,-z+1/2'
'x,-y,z+1/2'
'x+1/2,y+1/2,z'
'-x+1/2,-y+1/2,-z'
'-x+1/2,y+1/2,-z+1/2'
'x+1/2,-y+1/2,z+1/2'
loop_
_atom_site_label
_atom_site_fract_x
_atom_site_fract_y
_atom_site_fract_z
Pm1 0.000 0.029 0.250
Dy1 0.000 0.411 0.750
Dy2 0.079 0.267 0.500
Dy3 0.219 0.366 0.248
Y1 0.250 0.250 0.000
```

***

# 3
Structure and simulated X-ray diffraction stick pattern of Pm2Dy6Y (a cell relaxed with PBE; copper Kα).

Peak list (10 most intense, 2θ from 5° to 70°, sorted by position)
27.32 deg, I = 305; 30.12 deg, I = 142; 30.91 deg, I = 1000; 35.17 deg, I = 666; 41.68 deg, I = 196; 52.88 deg, I = 150; 54.93 deg, I = 126; 57.71 deg, I = 160; 62.49 deg, I = 180; 62.65 deg, I = 266

Atomic structure:
```
data_Pm2Dy6Y
_cell_length_a 3.454
_cell_length_b 10.004
_cell_length_c 17.384
_cell_angle_alpha 90.00
_cell_angle_beta 90.00
_cell_angle_gamma 90.00
_symmetry_space_group_name_H-M 'I m m m'
_symmetry_Int_Tables_number 71
_symmetry_space_group_name_Hall '-I 2 2'
loop_
_atom_site_label
_atom_site_fract_x
_atom_site_fract_y
_atom_site_fract_z
Pm1 0.000 0.000 0.168
Dy1 0.000 0.189 0.000
Dy2 0.000 0.189 0.334
Y1 0.000 0.000 0.500
```

***

# 4
Structure and simulated X-ray diffraction stick pattern of Pm4Dy6Y19 (a cell relaxed with PBE; copper Kα).
____________
In short, I loved this book. I’m slightly embarrassed that I made so many negative assumptions, and I am excited about how wrong I was. This is a book I’ve been looking for and waiting for–affirming, accessible, intellectually stimulating. Even as someone who’s been doing similar work for years, I gained some new perspectives. I plan on using this book in my own ministry, and would recommend it to anyone interested in understanding more deeply the way our faith intersects with our sex lives.